== Input ==
# 1
95
Properties=species:S:1:pos:R:3:mulliken_charge:R:1 method="wB97M-V/def2-TZVPD" relative_energy_ev=0.0000 s_squared=0.76 spin_multiplicity=2 orbital_gap_ev="4.373 / 4.322" charge=-2
V 0.867 0.160 0.218 0.69
O 0.667 0.541 4.309 -0.52
C -0.023 0.689 3.175 0.53
O 0.531 0.854 2.116 -0.63
C -1.517 0.724 3.362 -0.46
O -2.206 0.768 2.151 -0.44
C -2.705 -0.485 1.672 -0.05
C -1.951 -1.116 0.493 0.20
O -2.674 -1.638 -0.358 -0.69
O -0.677 -1.123 0.506 0.55
H 1.541 0.204 4.054 0.42
H -1.751 1.633 3.928 0.34
H -1.788 -0.146 3.969 0.26
H -3.733 -0.314 1.351 0.28
H -2.693 -1.233 2.473 -0.10
F 4.188 -1.164 -0.207 -0.11
C 4.157 -2.194 0.634 0.35
F 4.972 -1.901 1.664 -0.24
F 4.644 -3.275 0.024 -0.20
S 2.463 -2.510 1.329 0.74
O 2.119 -1.219 1.896 -0.67
O 2.700 -3.605 2.210 -0.61
N 1.569 -2.915 0.116 -0.16
S 1.545 -2.415 -1.354 0.65
O 2.730 -2.723 -2.104 -0.57
O 1.012 -1.076 -1.595 -0.69
C 0.272 -3.559 -2.040 0.39
F 0.030 -3.178 -3.306 -0.24
F 0.774 -4.799 -2.081 -0.23
F -0.850 -3.571 -1.366 -0.11
C 8.586 4.557 -2.887 -0.83
C 8.402 4.984 -4.321 0.62
O 9.331 5.276 -5.036 -0.58
S 6.752 5.181 -4.971 -0.15
C 5.706 4.278 -3.865 -0.33
C 5.691 2.882 -3.874 -0.33
C 4.852 2.183 -3.029 -0.43
C 3.976 2.852 -2.150 0.46
C 3.988 4.259 -2.175 -0.47
C 4.839 4.956 -3.012 -0.33
C 3.110 2.133 -1.294 -0.19
C 2.353 1.501 -0.562 -0.26
H 9.555 4.072 -2.792 0.29
H 7.794 3.906 -2.529 0.29
H 8.583 5.462 -2.276 0.24
H 6.352 2.346 -4.545 0.39
H 4.841 1.101 -3.039 0.54
H 3.310 4.790 -1.519 0.50
H 4.841 6.040 -3.004 0.41
C -5.988 -4.783 6.712 -1.43
C -4.757 -4.432 5.916 0.75
C -4.699 -4.635 4.544 -1.11
C -3.563 -4.332 3.795 1.31
C -3.581 -4.609 2.318 -1.49
C -2.416 -3.803 4.423 -0.44
Te -0.684 -3.314 3.290 0.02
C -2.473 -3.602 5.818 1.15
C -1.287 -3.063 6.567 -1.52
C -3.625 -3.916 6.532 -0.94
H -6.832 -4.994 6.052 0.34
H -6.280 -3.969 7.380 0.33
H -5.828 -5.668 7.335 0.28
H -5.566 -5.046 4.033 0.17
H -4.546 -5.022 2.014 0.34
H -2.787 -5.310 2.049 0.33
H -3.380 -3.707 1.735 0.15
H -0.992 -2.084 6.184 0.17
H -0.416 -3.704 6.415 0.30
H -1.504 -2.987 7.637 0.36
H -3.634 -3.756 7.609 0.23
N -0.486 1.521 -0.727 -0.10
S -0.480 1.591 -2.303 0.18
C -1.858 0.658 -2.977 0.96
C -1.676 0.124 -4.245 -0.45
C -2.705 -0.586 -4.843 -0.67
C -3.901 -0.769 -4.162 -0.50
C -4.064 -0.255 -2.884 -1.04
C -3.040 0.462 -2.286 -0.21
C -1.078 3.234 -2.754 0.71
C -0.171 4.036 -3.434 -0.32
C -0.537 5.318 -3.821 -0.72
C -1.807 5.791 -3.530 -0.39
C -2.710 4.984 -2.846 -0.77
C -2.350 3.704 -2.459 -0.31
H -1.399 1.667 -0.300 0.23
H -0.725 0.248 -4.749 0.39
H -2.567 -1.010 -5.829 0.37
H -4.698 -1.346 -4.615 0.37
H -4.972 -0.446 -2.328 0.37
H -3.155 0.808 -1.268 0.24
H 0.825 3.659 -3.638 0.38
H 0.173 5.943 -4.348 0.40
H -2.095 6.792 -3.827 0.37
H -3.701 5.355 -2.614 0.38
H -3.058 3.081 -1.928 0.32

# 2
17
Properties=species:S:1:pos:R:3:mulliken_charge:R:1 method="wB97M-V/def2-TZVPD" relative_energy_ev=11.3577 spin_multiplicity=1 orbital_gap_ev=8.585 charge=0
C -0.826 -2.464 -1.492 -0.79
C -0.912 -0.149 -1.131 0.10
C 0.182 1.286 0.473 0.26
C 0.662 0.073 1.388 -0.68
H 0.004 -3.173 -1.894 0.27
H -1.208 -3.002 -0.501 0.24
H -1.701 -2.627 -2.115 0.39
H -2.149 -0.268 -1.333 0.23
H 1.909 0.696 2.120 0.20
H 0.918 -1.223 0.308 0.41
H -0.677 -0.334 2.211 0.21
H 0.350 3.208 -0.045 0.32
H 2.280 2.351 1.463 0.34
N -0.142 -1.175 -1.181 -0.46
N -0.515 1.117 -0.681 -0.52
N 0.352 2.594 0.824 -0.12
O 1.473 3.090 1.586 -0.38

# 3
6
Properties=species:S:1:pos:R:3:mulliken_charge:R:1 method="wB97M-V/def2-TZVPD" relative_energy_ev=7.0352 spin_multiplicity=1 orbital_gap_ev="9.569 / 9.570" charge=0
C 0.398 -0.805 -0.166 0.16
O 0.807 -1.876 -0.239 -0.24
O 0.003 1.456 -0.332 -0.20
O 0.877 0.380 -0.140 -0.06
H -1.483 -0.595 0.440 0.00
H -0.603 1.441 0.437 0.34

# 4
23
Properties=species:S:1:pos:R:3:mulliken_charge:R:1 method="wB97M-V/def2-TZVPD" relative_energy_ev=2.0842 s_squared=0.75 spin_multiplicity=2 orbital_gap_ev="10.708 / 5.440" charge=+1
C -0.977 0.046 0.065 -1.17
C 0.253 -0.885 -0.253 0.09
C -0.227 -2.069 -1.069 -1.27
== Exercise ==
Say how many lines of the entries further above hold the word "pos", as a bare number.
== Outcome ==
4